Serving or have served in the U.S. 军事? Here’s how to apply for financial aid.

作为美国人.S. veteran or 军事 personnel (active duty, reserve or guard) or a family member, 在申请经济援助时,你还有其他步骤要做. 那是因为你可能有资格获得联邦和州的财政援助, including grants and 贷款, 以及 退伍军人福利.

Here's all the information you need to apply for grants, 奖学金, 贷款, work-study programs and veteran benefits.


2024 / 2025 FAFSA Is Available!

=====
A geometry-optimized TlHgAu2 structure, computed with PBE.

## Properties
Energy relative to the lowest polymorph listed for this composition: 0.142 eV per atom
Calculated volume: 90.8 Å³/f.u.
DOS(E_F): 0.8 states/eV/f.u.
Total energy: -2.1642 eV/atom
Magnetic moment: 0.0 μB/f.u.
Theoretical density: 14.610 Mg/m³
ΔE_f: 0.14 eV/atom

a = 12.1845 Å, b = 2.9183 Å, c = 5.4758 Å
α = 90.00°, β = 111.15°, γ = 90.00°
Space group C2/m (No. 12)
One atom of each set of equivalent atoms:
Tl 0.0000 0.0000 0.0000 (multiplicity 2)
Hg 0.0000 0.5000 0.5000 (multiplicity 2)
Au 0.2447 0.0000 0.7468 (multiplicity 4)

=====

(1)
{"formula": "La2ZrGeC", "functional": "PBE", "state": "relaxed", "ef_ev_per_atom": 0.886, "final_energy_ev_per_atom": -5.5632, "magnetic_moment_mub_per_cell": 0.00, "cell": [[-3.258, 2.934, -4.075], [-3.168, -1.430, 1.503], [-0.375, 4.702, 3.685]], "species": ["La", "Ge", "Zr", "C", "La"], "fractional_positions": [[0.500, 0.000, 0.000], [0.000, 0.000, 0.000], [0.500, 0.500, 0.500], [0.000, 0.500, 0.000], [0.000, 0.000, 0.500]]}

(2)
{"formula": "ScSi2W", "functional": "PBE", "state": "relaxed", "relative_energy_mev_per_atom": 0.0, "final_energy_ev_per_atom": -7.9171, "magnetic_moment_mub_per_cell": 0.00, "cell": [[-1.749, 2.888, -1.654], [-2.918, -1.882, -0.200], [-2.790, 0.682, 4.140]], "species": ["Si", "W", "Si", "Sc"], "fractional_positions": [[0.500, 0.047, 0.282], [0.000, 0.481, 0.414], [0.000, 0.201, 0.972], [0.500, 0.771, 0.832]]}

=====

VASP calculation (PBE) on a geometry-optimized BaNb2Sb2 structure.

Calculated values
Raw total energy (eV per atom): -6.504
M_tot (Bohr magnetons per cell): 0.0
Formation energy from raw total energies (eV per atom): -0.442

Geometry as POSCAR:
```
BaNb2Sb2
1.0
-0.7188 3.4469 -2.3383
0.5817 -2.2665 -3.5199
-7.5665 -1.0830 -3.0909
Sb Nb Ba
2 2 1
Direct
0.3742 0.3742 0.2517 Sb
0.6258 0.6258 0.7483 Sb
0.7500 0.2500 0.5000 Nb
0.2500 0.7500 0.5000 Nb
0.0000 0.0000 0.0000 Ba
```
=====

Updates to the 2024 / 2025 FAFSA!
联邦学生援助免费申请(FAFSA)在2024 / 2025学年有重大变化. These changes include:

expanded eligibility for federal student aid,
a better user experience for the FAFSA form, and
a more streamlined application process.

对于学生和家长来说,通知FAFSA申请有任何额外的变化是很重要的. For 更多的信息 please use the following link to the U.S. Department of Education's site.


Building 3, Room 103


Monday – Friday 8:45 a.m. – 4:45 p.m.






Student Services Center
3rd floor, Room 310


Monday – Friday 8:45 a.m. – 4:45 p.m.




MCC federal school code: 002872

MCC TAP school code: 2180


申请经济援助可能会花费一些时间,但绝对值得. 你会有很多机会获得你需要的资金来支付你的教育费用. By following the steps listed below, 你会尽可能快速轻松地完成这个过程.

如果您需要帮助,请随时联系MCC的财务援助办公室,电话:(585)292-2050或 电子邮件我们. 你也可以联系退伍军人服务办公室,电话:(585)292-2030或 电子邮件我们. Feel free to use one of our financial aid computer labs,在那里你可以得到帮助填写你的经济援助申请.

Keep in mind that you should file early, as it can take several weeks to get your applications approved.

(if you don’t already have one) FSA ID -你需要这个唯一的登录来完成一些重要的经济援助相关的任务.

应用 for your FSA ID

The best way to file your Free Application for Federal Student 援助 (FAFSA) 在线. (This is where you’ll need your FSA ID from Step 1.) If you don’t have access to a computer, come to one of our financial aid computer labs在那里,你可以使用MCC的电脑,并得到你需要的所有帮助.

We recommend using the IRS Data Retrieval Tool to complete your FAFSA. 这个在线工具从您的联邦纳税申报表中提取信息,并确保您的申请填写准确.

学生最早可以在10月9日提交2022-23年度的FAFSA. 1, 2021, rather than beginning on Jan. 1, 2022. 以下是根据你计划上学的时间提交FAFSA的关键日期摘要:

You Plan to Attend College From: You Will Submit This FAFSA: You Can Submit the FAFSA from: 使用收入 & 税务资料来自:
May 2021 - May 2022 2021-22 October 1, 2020-June 30, 2022 2019
May 2022 - May 2023 2022-23 October 1, 2021-June 30, 2023 2020
May 2023 - May 2024 2023-24 October 1, 2022-June 30, 2024 2021

Watch our overview on the FAFSA for First-Time Filers.
FAFSA First-Time Filers-Overview Video

完成FAFSA后最重要的事情是致电(585)292与退伍军人服务团队预约.2030. 他们可以帮助你完成一些你需要完成的任务,包括申请:

应用ing for your 退伍军人福利 can be a long process. 请尽早到退伍军人服务办公室开始你的文书工作. 这有助于确保在每个学期开始之前完成你的福利处理.

注意: As a VA benefits recipient, 如果你是全日制学生,每学期学习12个或更多学分,你将获得最高金额的津贴和/或津贴. 你也可以以兼职的价格获得退伍军人管理局的教育福利. 虽然你不会得到和全日制学生一样多的钱, you’re not using your benefits up as quickly either.

Are you a New York State resident? Do you plan to attend MCC either full- or part-time? 你可以申请纽约州学费援助计划(TAP)或非全日制学习援助计划(APTS). These two grants are available through the Higher Education Services Corporation (HESC).

MCC’s TAP code is 2180. If you’re not a New York State resident, skip to Step 5.

全职 - TAP是为满足居住、收入、学业或其他要求的学生提供的助学金. When you complete your FAFSA online, you’ll be given a link on the FAFSA website, so you can complete the NYS Express TAP Application (ETA). If you fill out a paper FAFSA, you’ll be sent your ETA by mail.

请记住,收到正式的TAP通知需要三到八周的时间. 如果您想检查您的TAP申请的状态,请访问 My HESC Account Access 页面.

兼职 -如果你计划参加MCC的兼职和住宿, 收入, academic and other requirements, 你可以通过纽约州非全日制学习援助(APTS)项目申请助学金. 您可以在MCC财务援助办公室或从我们的表格页面下载申请.

  • APTS的截止日期-在申请上注明的截止日期之前,将填妥的申请提交给MCC财务援助办公室:
    • 秋季学期 – usually mid-August
    • 春季学期 – usually mid-January

您将在申请截止日期后大约六到八周收到获奖通知. 得到 更多的信息 在进行了.

What is the New York State 学费 Assistance Program (TAP)?

After your FAFSA is processed, 您将通过电子邮件或邮寄方式收到一份学生援助报告(SAR), 这取决于你提交的是电子申请还是纸质申请.

SAR使用您的FAFSA信息来确定您的估计家庭贡献(EFC)。. 你的EFC是你的家人可以用来帮助你支付大学学费的钱. 世纪挑战集团从你的学习费用中减去你的EFC,从而计算出你的经济需求.

Be sure to review your SAR for accuracy. 你可以做 corrections to the FAFSA. If you received your SAR by mail, make the corrections on your paper SAR, then sign and return it to the address on your SAR.

一旦修正被处理,你将收到一个修正的SAR. Be sure to keep a copy of your SAR for your records.

在你的FAFSA被处理后,MCC将以电子方式收到你的信息. (If you file online, we’ll receive it within one to two weeks. 如果你完成纸质的FAFSA,需要4到8周的时间. Remember, you can always file your FAFSA online at one of our financial aid computer labs.)

如果你的FAFSA有错误或验证问题, MCC财务援助办公室将通过您的MCC电子邮件地址与您联系. 在你的经济援助最终确定并应用到你的账户之前,我们可能需要更多的信息来纠正这些问题. So, please check your MCC email every day.

Verification Process

祝贺你! You’ve completed all the necessary financial aid paperwork. 我们知道这个过程可能很耗时,但绝对值得. 当你收到MCC的助学金通知时, 你符合条件的任何助学金都会自动记入你的学费.

Want to check your aid?

  • 检查你的 FAFSA状态. You will need your FSA ID; if you have forgotten or misplaced it, you can request a new one at the Federal Student 援助 web 页面.
  • 检查你的 龙头地位. You will need your TAP or HESC PIN.
  • 检查你的 世纪挑战集团的应用 and accept any offered financial aid awards. 您将需要您的MCC学生ID号和myMCC用户ID和密码.

For 更多的信息, watch our 金融援助 videos:
Will financial aid pay for all of my expenses?

请记住,不是每个人都有资格获得联邦佩尔和/或TAP资助, 或者有资格获得足够支付教育费用的补助金. 幸运的是,还有许多其他方法可以帮助你资助在世纪挑战的教育: